**Source:**
+++
Record 1
Crystalline La5TbSm6 at its relaxed geometry, computed with PBE-GGA.

## Properties
Energy of formation: 0.014 eV per atom
Space-group type: C2/m, No. 12
Crystal system: monoclinic
Total magnetization: 0.0 μB/cell

```
12
Lattice="6.1890 0.0000 1.5070 3.0945 5.5165 0.7535 -0.7575 0.0000 12.0931" Properties=species:S:1:pos:R:3 pbc="T T T"
La 6.1890 3.6774 1.5070
La 5.8103 1.8352 7.5535
La 3.0945 1.8391 0.7535
La 2.7158 3.6813 6.8000
La 2.7158 0.0000 6.8000
Sm 7.5555 3.6846 4.8935
Sm 0.9705 1.8319 9.4600
Sm 1.3551 0.0000 3.3831
Sm 4.0651 3.6846 10.2135
Sm 4.4610 1.8319 4.1400
Sm 4.0764 0.0000 10.2169
Tb 0.0000 0.0000 0.0000
```

***

Record 2
Crystalline LaTbSm2 at its relaxed geometry, computed with PBE-GGA.

## Properties
Offset from the most stable computed form: 0.1288 eV per atom
Energy of formation: 0.147 eV per atom
Space-group type: Fm-3m, No. 225
Crystal system: cubic
Total magnetization: 0.8 μB/cell

```
4
Lattice="-3.5006 3.8683 2.5367 -5.7127 -0.1680 -0.9942 -3.6269 -1.6874 4.2012" Properties=species:S:1:pos:R:3 pbc="T T T"
Sm -9.6301 1.5097 4.3078
Sm -3.2100 0.5032 1.4359
La -6.4201 1.0065 2.8718
Tb 0.0000 0.0000 0.0000
```

***

Record 3
Crystalline La7Tb12Sm at its relaxed geometry, computed with PBE-GGA.

## Properties
Offset from the most stable computed form: 0.0000 eV per atom
Energy of formation: 0.218 eV per atom
Space-group type: R-3, No. 148
Crystal system: trigonal
Total magnetization: 0.0 μB/cell

```
20
Lattice="0.2701 8.8677 0.3561 -5.2011 0.4317 7.1832 6.8511 0.1263 5.6465" Properties=species:S:1:pos:R:3 pbc="T T T"
La 1.8906 0.8604 3.4260
La 0.9600 4.7129 6.5929
La 0.0294 8.5653 9.7598
La 3.3615 7.8090 9.8153
La 1.1386 5.8616 11.5310
La 0.7815 3.5641 1.6548
La -1.4414 1.6167 3.3705
Tb 1.6925 1.4809 7.1058
Tb 2.1610 2.6609 10.1286
Tb -1.9633 1.6366 6.9738
Tb 2.8705 5.6058 3.9857
Tb -2.1649 4.6854 5.3768
Tb -2.5245 6.8290 7.8314
Tb -0.2410 6.7648 3.0572
Tb 3.8833 7.7891 6.2120
Tb 4.0849 4.7403 7.8090
Tb 0.2276 7.9448 6.0800
Tb 4.4446 2.5967 5.3544
Tb -0.9504 3.8199 9.2001
Sm 0.0000 0.0000 0.0000
```

***

Record 4
Crystalline LaTb2Sm4 at its relaxed geometry, computed with PBE-GGA.

## Properties
Offset from the most stable computed form: 0.0000 eV per atom
Energy of formation: 0.075 eV per atom
Space-group type: P1, No. 1
Crystal system: triclinic
Total magnetization: 0.0 μB/cell

```
14
Lattice="-7.4093 2.1015 -4.0141 -0.5161 -8.0825 -3.7068 -1.3010 -1.8319 6.1910" Properties=species:S:1:pos:R:3 pbc="T T T"
Tb -3.2335 -5.9969 -3.9895
Tb -4.9841 -3.1429 -2.6479
Tb -7.1899 -3.0273 0.6553
Tb -3.0268 -3.3300 2.9192
Sm -5.6117 -1.2209 3.0886
Sm -1.7680 -4.1571 -1.1043
Sm -7.1363 -0.4405 -1.6745
Sm -1.2808 -6.2338 1.8107
Sm -6.1111 -6.5251 -2.4316
Sm -4.5759 -5.0529 0.4262
Sm -6.6074 -4.6754 -5.4095
Sm -3.8655 -1.3690 -0.0418
La -1.4080 -2.1071 5.6753
La -2.7502 -7.8830 -0.9527
```

***

Record 5
Crystalline La5Tb4Sm at its relaxed geometry, computed with PBE-GGA.

## Properties
Offset from the most stable computed form: 0.0057 eV per atom
Energy of formation: 0.022 eV per atom
Space-group type: P4/mmm, No. 123
Crystal system: tetragonal
Total magnetization: 0.0 μB/cell

```
10
Lattice="3.7049 0.0000 0.0000 0.0000 3.7049 0.0000 0.0000 0.0000 25.3126" Properties=species:S:1:pos:R:3 pbc="T T T"
Tb 0.0000 0.0000 20.2082
Tb 0.0000 0.0000 15.1724
Tb 0.0000 0.0000 10.1402
Tb 0.0000 0.0000 5.1044
Sm 0.0000 0.0000 0.0000
La 1.8524 1.8524 7.6236
La 1.8524 1.8524 12.6563
La 1.8524 1.8524 22.7392
La 1.8524 1.8524 17.6891
La 1.8524 1.8524 2.5734
```

***

Record 6
Crystalline La2Tb3Sm4 at its relaxed geometry, computed with PBE-GGA.

## Properties
Offset from the most stable computed form: 0.0000 eV per atom
Energy of formation: 0.055 eV per atom
Space-group type: P3m1, No. 156
Crystal system: trigonal
Total magnetization: 0.0 μB/cell

```
9
Lattice="-1.2010 -2.2484 2.5984 -1.3232 -0.2546 -3.3815 19.4686 -17.6662 -6.2879" Properties=species:S:1:pos:R:3 pbc="T T T"
Sm 14.7347 -13.3706 -4.7589
+++

**Wanted:**
Could you repeat the rows earlier on with every line break kept?

**Response:**
Record 1
Crystalline La5TbSm6 at its relaxed geometry, computed with PBE-GGA.

## Properties
Energy of formation: 0.014 eV per atom
Space-group type: C2/m, No. 12
Crystal system: monoclinic
Total magnetization: 0.0 μB/cell

```
12
Lattice="6.1890 0.0000 1.5070 3.0945 5.5165 0.7535 -0.7575 0.0000 12.0931" Properties=species:S:1:pos:R:3 pbc="T T T"
La 6.1890 3.6774 1.5070
La 5.8103 1.8352 7.5535
La 3.0945 1.8391 0.7535
La 2.7158 3.6813 6.8000
La 2.7158 0.0000 6.8000
Sm 7.5555 3.6846 4.8935
Sm 0.9705 1.8319 9.4600
Sm 1.3551 0.0000 3.3831
Sm 4.0651 3.6846 10.2135
Sm 4.4610 1.8319 4.1400
Sm 4.0764 0.0000 10.2169
Tb 0.0000 0.0000 0.0000
```

***

Record 2
Crystalline LaTbSm2 at its relaxed geometry, computed with PBE-GGA.

## Properties
Offset from the most stable computed form: 0.1288 eV per atom
Energy of formation: 0.147 eV per atom
Space-group type: Fm-3m, No. 225
Crystal system: cubic
Total magnetization: 0.8 μB/cell

```
4
Lattice="-3.5006 3.8683 2.5367 -5.7127 -0.1680 -0.9942 -3.6269 -1.6874 4.2012" Properties=species:S:1:pos:R:3 pbc="T T T"
Sm -9.6301 1.5097 4.3078
Sm -3.2100 0.5032 1.4359
La -6.4201 1.0065 2.8718
Tb 0.0000 0.0000 0.0000
```

***

Record 3
Crystalline La7Tb12Sm at its relaxed geometry, computed with PBE-GGA.

## Properties
Offset from the most stable computed form: 0.0000 eV per atom
Energy of formation: 0.218 eV per atom
Space-group type: R-3, No. 148
Crystal system: trigonal
Total magnetization: 0.0 μB/cell

```
20
Lattice="0.2701 8.8677 0.3561 -5.2011 0.4317 7.1832 6.8511 0.1263 5.6465" Properties=species:S:1:pos:R:3 pbc="T T T"
La 1.8906 0.8604 3.4260
La 0.9600 4.7129 6.5929
La 0.0294 8.5653 9.7598
La 3.3615 7.8090 9.8153
La 1.1386 5.8616 11.5310
La 0.7815 3.5641 1.6548
La -1.4414 1.6167 3.3705
Tb 1.6925 1.4809 7.1058
Tb 2.1610 2.6609 10.1286
Tb -1.9633 1.6366 6.9738
Tb 2.8705 5.6058 3.9857
Tb -2.1649 4.6854 5.3768
Tb -2.5245 6.8290 7.8314
Tb -0.2410 6.7648 3.0572
Tb 3.8833 7.7891 6.2120
Tb 4.0849 4.7403 7.8090
Tb 0.2276 7.9448 6.0800
Tb 4.4446 2.5967 5.3544
Tb -0.9504 3.8199 9.2001
Sm 0.0000 0.0000 0.0000
```

***

Record 4
Crystalline LaTb2Sm4 at its relaxed geometry, computed with PBE-GGA.

## Properties
Offset from the most stable computed form: 0.0000 eV per atom
Energy of formation: 0.075 eV per atom
Space-group type: P1, No. 1
Crystal system: triclinic
Total magnetization: 0.0 μB/cell

```
14
Lattice="-7.4093 2.1015 -4.0141 -0.5161 -8.0825 -3.7068 -1.3010 -1.8319 6.1910" Properties=species:S:1:pos:R:3 pbc="T T T"
Tb -3.2335 -5.9969 -3.9895
Tb -4.9841 -3.1429 -2.6479
Tb -7.1899 -3.0273 0.6553
Tb -3.0268 -3.3300 2.9192
Sm -5.6117 -1.2209 3.0886
Sm -1.7680 -4.1571 -1.1043
Sm -7.1363 -0.4405 -1.6745
Sm -1.2808 -6.2338 1.8107
Sm -6.1111 -6.5251 -2.4316
Sm -4.5759 -5.0529 0.4262
Sm -6.6074 -4.6754 -5.4095
Sm -3.8655 -1.3690 -0.0418
La -1.4080 -2.1071 5.6753
La -2.7502 -7.8830 -0.9527
```

***

Record 5
Crystalline La5Tb4Sm at its relaxed geometry, computed with PBE-GGA.

## Properties
Offset from the most stable computed form: 0.0057 eV per atom
Energy of formation: 0.022 eV per atom
Space-group type: P4/mmm, No. 123
Crystal system: tetragonal
Total magnetization: 0.0 μB/cell

```
10
Lattice="3.7049 0.0000 0.0000 0.0000 3.7049 0.0000 0.0000 0.0000 25.3126" Properties=species:S:1:pos:R:3 pbc="T T T"
Tb 0.0000 0.0000 20.2082
Tb 0.0000 0.0000 15.1724
Tb 0.0000 0.0000 10.1402
Tb 0.0000 0.0000 5.1044
Sm 0.0000 0.0000 0.0000
La 1.8524 1.8524 7.6236
La 1.8524 1.8524 12.6563
La 1.8524 1.8524 22.7392
La 1.8524 1.8524 17.6891
La 1.8524 1.8524 2.5734
```

***

Record 6
Crystalline La2Tb3Sm4 at its relaxed geometry, computed with PBE-GGA.

## Properties
Offset from the most stable computed form: 0.0000 eV per atom
Energy of formation: 0.055 eV per atom
Space-group type: P3m1, No. 156
Crystal system: trigonal
Total magnetization: 0.0 μB/cell

```
9
Lattice="-1.2010 -2.2484 2.5984 -1.3232 -0.2546 -3.3815 19.4686 -17.6662 -6.2879" Properties=species:S:1:pos:R:3 pbc="T T T"
Sm 14.7347 -13.3706 -4.7589